_Wanted_
The reader should count the lines further down that contain the word "is" and give the number alone.

_File_
-- begin --
P | # GaAuBr3

An optimized crystal structure of GaAuBr3 (GGA-PBE, the Alexandria database).

The structure in POSCAR format:
```
GaAuBr3
1.0
5.1893 0.0000 0.0000
0.0000 5.1893 0.0000
0.0000 0.0000 5.1893
Ga Au Br
1 1 3
Cartesian
0.0000 0.0000 0.0000
2.5946 2.5946 2.5946
0.0000 0.0000 2.5946
0.0000 2.5946 0.0000
2.5946 0.0000 0.0000
```

***

Q | # GaAuBr3

An optimized crystal structure of GaAuBr3 (GGA-PBE, the Alexandria database).

The structure in POSCAR format:
```
GaAuBr3
1.0
5.3535 0.0000 0.0000
0.0000 5.3535 0.0000
0.0000 0.0000 5.3535
Ga Au Br
1 1 3
Cartesian
0.0000 0.0000 0.0000
2.6768 2.6768 2.6768
0.0000 2.6768 2.6768
2.6768 0.0000 2.6768
2.6768 2.6768 0.0000
```

***

The structure with the greatest stability is Q.

***

P | # GaAuBr2

An optimized crystal structure of GaAuBr2 (GGA-PBE, the Alexandria database).

The structure in POSCAR format:
```
GaAuBr2
1.0
-3.2805 3.2805 6.7042
3.2805 -3.2805 6.7042
3.2805 3.2805 -6.7042
Ga Au Br
2 2 4
Cartesian
0.0000 0.0000 0.0000
0.0000 3.2805 3.3521
3.2805 0.0000 3.3521
0.0000 0.0000 6.7042
1.6402 -1.3514 5.0282
1.9291 1.6402 1.6761
1.6402 4.6318 -1.6761
1.3514 1.6402 8.3803
```

***

Q | # GaAuBr2

An optimized crystal structure of GaAuBr2 (GGA-PBE, the Alexandria database).

The structure in POSCAR format:
```
GaAuBr2
1.0
2.4313 1.4037 7.8377
-2.4313 1.4037 7.8377
0.0000 -2.8075 7.8377
Ga Au Br
1 1 2
Cartesian
0.0000 0.0000 0.0000
0.0000 0.0000 11.7565
0.0000 0.0000 9.3329
0.0000 0.0000 14.1801
```

***

The structure with the greatest stability is Q.

***

P | # ZrGa2AuBr

An optimized crystal structure of ZrGa2AuBr (GGA-PBE, the Alexandria database).

The structure in POSCAR format:
```
ZrGa2AuBr
1.0
4.8051 0.0000 0.0000
0.0000 4.8051 0.0000
0.0000 0.0000 5.7068
Zr Ga Au Br
1 2 1 1
Cartesian
0.0000 0.0000 0.0000
0.0000 2.4026 2.8534
2.4026 0.0000 2.8534
0.0000 0.0000 2.8534
2.4026 2.4026 0.0000
```

***

Q | # ZrGa2AuBr

An optimized crystal structure of ZrGa2AuBr (GGA-PBE, the Alexandria database).

The structure in POSCAR format:
```
ZrGa2AuBr
1.0
5.1808 0.0000 0.0000
0.0000 5.1808 0.0000
0.0000 0.0000 5.0053
Zr Ga Au Br
1 2 1 1
Cartesian
0.0000 0.0000 0.0000
0.0000 2.5904 2.5026
2.5904 0.0000 2.5026
2.5904 2.5904 0.0000
0.0000 0.0000 2.5026
```

***

The structure with the greatest stability is P.

***

P | # Gd2AuBr

An optimized crystal structure of Gd2AuBr (GGA-PBE, the Alexandria database).

The structure in POSCAR format:
```
Gd2AuBr
1.0
3.5283 0.0000 0.0000
0.0000 3.5283 0.0000
0.0000 0.0000 8.1746
Gd Au Br
2 1 1
Cartesian
0.0000 0.0000 1.8314
0.0000 0.0000 6.3432
1.7642 1.7642 0.0000
1.7642 1.7642 4.0873
```

***

Q | # Gd2AuBr

An optimized crystal structure of Gd2AuBr (GGA-PBE, the Alexandria database).

The structure in POSCAR format:
```
Gd2AuBr
1.0
2.0947 1.2094 7.5301
-2.0947 1.2094 7.5301
0.0000 -2.4188 7.5301
Gd Au Br
2 1 1
Cartesian
0.0000 0.0000 5.3868
0.0000 0.0000 17.2034
0.0000 0.0000 11.2951
0.0000 0.0000 0.0000
```

***

The structure with the greatest stability is Q.

***

P | # GeAuBr3

An optimized crystal structure of GeAuBr3 (GGA-PBE, the Alexandria database).

The structure in POSCAR format:
```
GeAuBr3
1.0
5.3097 0.0000 0.0000
0.0000 5.3097 0.0000
0.0000 0.0000 5.3097
Ge Au Br
1 1 3
Cartesian
0.0000 0.0000 0.0000
2.6549 2.6549 2.6549
0.0000 2.6549 2.6549
2.6549 0.0000 2.6549
2.6549 2.6549 0.0000
```

***

Q | # GeAuBr3

An optimized crystal structure of GeAuBr3 (GGA-PBE, the Alexandria database).

The structure in POSCAR format:
```
GeAuBr3
1.0
5.3255 0.0000 0.0000
0.0000 5.3255 0.0000
0.0000 0.0000 5.3255
Ge Au Br
1 1 3
Cartesian
0.0000 0.0000 0.0000
2.6628 2.6628 2.6628
0.0000 0.0000 2.6628
0.0000 2.6628 0.0000
2.6628 0.0000 0.0000
```

***

The structure with the greatest stability is Q.

***

P | # GeAu2Br

An optimized crystal structure of GeAu2Br (GGA-PBE, the Alexandria database).

The structure in POSCAR format:
```
GeAu2Br
1.0
0.0000 3.4775 3.4775
3.4775 0.0000 3.4775
3.4775 3.4775 0.0000
Ge Au Br
1 2 1
Cartesian
-- stop --

_Outcome_
5